**Data**
+++
1.
MgMn6O8F4: theoretical powder XRD pattern (Cu Kα), based on a cell relaxed with PBE+U.

Most intense lines, 2θ = 10–80°, in order of rising 2θ:
h k l	d [Å]	Position (°2θ)	I (rel.)
1 1 1	3.761	23.66	100
-1 1 1	3.360	26.53	82
2 0 0	2.584	34.72	22
1 -1 2	2.572	34.88	43
0 2 -1	2.537	35.38	19
2 -2 1	1.758	52.01	19

Structure:
Cell lengths 5.2030, 5.7351, 7.6761 Å; angles 81.74, 85.98, 84.42 degrees
Space group P1 (No. 1)
Symmetry-distinct sites (fractional):
1 Mg 0.0000 0.0000 0.0000 [1 per cell]
2 Mn 0.0124 0.6498 0.7899 [1 per cell]
3 Mn 0.0200 0.3873 0.1649 [1 per cell]
4 Mn 0.5013 0.8290 0.1270 [1 per cell]
5 Mn 0.5058 0.1860 0.8037 [1 per cell]
6 Mn 0.5553 0.5368 0.4911 [1 per cell]
7 Mn 0.9885 0.0261 0.4782 [1 per cell]
8 O 0.1605 0.6597 0.0299 [1 per cell]
9 O 0.3229 0.1375 0.0367 [1 per cell]
10 O 0.3429 0.4935 0.7098 [1 per cell]
11 O 0.6977 0.2308 0.5821 [1 per cell]
12 O 0.6987 0.5608 0.2433 [1 per cell]
13 O 0.7029 0.8772 0.9039 [1 per cell]
14 O 0.8551 0.7302 0.5668 [1 per cell]
15 O 0.8776 0.0819 0.2431 [1 per cell]
16 F 0.1617 0.9988 0.7179 [1 per cell]
17 F 0.1962 0.3056 0.4008 [1 per cell]
18 F 0.3423 0.8253 0.3750 [1 per cell]
19 F 0.8484 0.3361 0.9138 [1 per cell]

=====

2.
MgVBr2O: theoretical powder XRD pattern (Cu Kα), based on a cell relaxed with PBE+U.

Most intense lines, 2θ = 10–80°, in order of rising 2θ:
h k l	d [Å]	Position (°2θ)	I (rel.)
1 0 -1	3.667	24.27	32
0 1 1	3.436	25.93	100
1 0 1	3.185	28.01	29
0 0 3	3.031	29.47	28
1 1 -3	2.375	37.88	30
2 1 -3	1.644	55.94	21

Structure:
Cell lengths 3.7440, 4.1704, 9.5080 Å; angles 102.50, 101.34, 90.02 degrees
Space group P1 (No. 1)
Symmetry-distinct sites (fractional):
1 Mg 0.0000 0.0000 0.0000 [1 per cell]
2 V 0.7591 0.7487 0.5081 [1 per cell]
3 Br 0.5917 0.0909 0.1829 [1 per cell]
4 Br 0.9259 0.4221 0.8423 [1 per cell]
5 O 0.2689 0.7657 0.5274 [1 per cell]

=====

3.
Li3Fe2P2C2O14: theoretical powder XRD pattern (Cu Kα), based on a cell relaxed with PBE+U.

Most intense lines, 2θ = 10–80°, in order of rising 2θ:
h k l	d [Å]	Position (°2θ)	I (rel.)
0 0 1	8.341	10.61	82
1 1 0	4.537	19.56	55
1 1 -2	4.206	21.12	71
0 2 -2	3.528	25.25	27
1 1 1	3.376	26.40	35
2 -2 0	3.241	27.52	100

Structure:
Cell lengths 8.2625, 8.2795, 9.4436 Å; angles 106.58, 107.27, 103.21 degrees
Space group P-1 (No. 2)
Symmetry-distinct sites (fractional):
1 Li 0.0604 0.3065 0.1038 [2 per cell]
2 Li 0.2170 0.7532 0.7188 [2 per cell]
3 Li 0.4311 0.1923 0.8944 [2 per cell]
4 Fe 0.0570 0.3054 0.6710 [2 per cell]
5 Fe 0.4344 0.1919 0.3338 [2 per cell]
6 P 0.1928 0.4524 0.4239 [2 per cell]
7 P 0.2998 0.0503 0.5795 [2 per cell]
8 C 0.2528 0.5052 0.9591 [2 per cell]
9 C 0.2565 0.9937 0.0398 [2 per cell]
10 O 0.0577 0.3301 0.4684 [2 per cell]
11 O 0.0801 0.5182 0.3031 [2 per cell]
12 O 0.1204 0.3637 0.9296 [2 per cell]
13 O 0.1478 0.9052 0.4255 [2 per cell]
14 O 0.1613 0.8752 0.9001 [2 per cell]
15 O 0.2223 0.9788 0.1627 [2 per cell]
16 O 0.2314 0.1719 0.6890 [2 per cell]
17 O 0.2682 0.5300 0.8315 [2 per cell]
18 O 0.2762 0.3416 0.3237 [2 per cell]
19 O 0.3317 0.6085 0.5799 [2 per cell]
20 O 0.3647 0.6155 0.0953 [2 per cell]
21 O 0.3923 0.1363 0.0743 [2 per cell]
22 O 0.4003 0.9677 0.6924 [2 per cell]
23 O 0.4289 0.1640 0.5274 [2 per cell]

=====

4.
Li7Mn5O12: theoretical powder XRD pattern (Cu Kα), based on a cell relaxed with PBE+U.

Most intense lines, 2θ = 10–80°, in order of rising 2θ:
h k l	d [Å]	Position (°2θ)	I (rel.)
1 0 0	4.838	18.34	100
0 2 -2	2.611	34.34	16
1 2 -2	2.178	41.45	35
-2 2 1	2.058	44.00	29
1 0 3	2.051	44.16	28
3 0 -3	1.490	62.33	16

Structure:
Cell lengths 5.0943, 6.0187, 7.7984 Å; angles 103.67, 97.03, 104.53 degrees
Space group P-1 (No. 2)
Symmetry-distinct sites (fractional):
1 Li 0.0000 0.0000 0.0000 [1 per cell]
2 Li 0.4864 0.9159 0.1597 [2 per cell]
3 Li 0.4902 0.2453 0.4994 [2 per cell]
4 Li 0.4971 0.5845 0.8374 [2 per cell]
5 Mn 0.0000 0.5000 0.0000 [1 per cell]
6 Mn 0.0017 0.3323 0.3294 [2 per cell]
7 Mn 0.0056 0.8415 0.3286 [2 per cell]
+++
**Assignment**
What is needed: type out the whole of the data further up without additions.
**Outcome**
1.
MgMn6O8F4: theoretical powder XRD pattern (Cu Kα), based on a cell relaxed with PBE+U.

Most intense lines, 2θ = 10–80°, in order of rising 2θ:
h k l	d [Å]	Position (°2θ)	I (rel.)
1 1 1	3.761	23.66	100
-1 1 1	3.360	26.53	82
2 0 0	2.584	34.72	22
1 -1 2	2.572	34.88	43
0 2 -1	2.537	35.38	19
2 -2 1	1.758	52.01	19

Structure:
Cell lengths 5.2030, 5.7351, 7.6761 Å; angles 81.74, 85.98, 84.42 degrees
Space group P1 (No. 1)
Symmetry-distinct sites (fractional):
1 Mg 0.0000 0.0000 0.0000 [1 per cell]
2 Mn 0.0124 0.6498 0.7899 [1 per cell]
3 Mn 0.0200 0.3873 0.1649 [1 per cell]
4 Mn 0.5013 0.8290 0.1270 [1 per cell]
5 Mn 0.5058 0.1860 0.8037 [1 per cell]
6 Mn 0.5553 0.5368 0.4911 [1 per cell]
7 Mn 0.9885 0.0261 0.4782 [1 per cell]
8 O 0.1605 0.6597 0.0299 [1 per cell]
9 O 0.3229 0.1375 0.0367 [1 per cell]
10 O 0.3429 0.4935 0.7098 [1 per cell]
11 O 0.6977 0.2308 0.5821 [1 per cell]
12 O 0.6987 0.5608 0.2433 [1 per cell]
13 O 0.7029 0.8772 0.9039 [1 per cell]
14 O 0.8551 0.7302 0.5668 [1 per cell]
15 O 0.8776 0.0819 0.2431 [1 per cell]
16 F 0.1617 0.9988 0.7179 [1 per cell]
17 F 0.1962 0.3056 0.4008 [1 per cell]
18 F 0.3423 0.8253 0.3750 [1 per cell]
19 F 0.8484 0.3361 0.9138 [1 per cell]

=====

2.
MgVBr2O: theoretical powder XRD pattern (Cu Kα), based on a cell relaxed with PBE+U.

Most intense lines, 2θ = 10–80°, in order of rising 2θ:
h k l	d [Å]	Position (°2θ)	I (rel.)
1 0 -1	3.667	24.27	32
0 1 1	3.436	25.93	100
1 0 1	3.185	28.01	29
0 0 3	3.031	29.47	28
1 1 -3	2.375	37.88	30
2 1 -3	1.644	55.94	21

Structure:
Cell lengths 3.7440, 4.1704, 9.5080 Å; angles 102.50, 101.34, 90.02 degrees
Space group P1 (No. 1)
Symmetry-distinct sites (fractional):
1 Mg 0.0000 0.0000 0.0000 [1 per cell]
2 V 0.7591 0.7487 0.5081 [1 per cell]
3 Br 0.5917 0.0909 0.1829 [1 per cell]
4 Br 0.9259 0.4221 0.8423 [1 per cell]
5 O 0.2689 0.7657 0.5274 [1 per cell]

=====

3.
Li3Fe2P2C2O14: theoretical powder XRD pattern (Cu Kα), based on a cell relaxed with PBE+U.

Most intense lines, 2θ = 10–80°, in order of rising 2θ:
h k l	d [Å]	Position (°2θ)	I (rel.)
0 0 1	8.341	10.61	82
1 1 0	4.537	19.56	55
1 1 -2	4.206	21.12	71
0 2 -2	3.528	25.25	27
1 1 1	3.376	26.40	35
2 -2 0	3.241	27.52	100

Structure:
Cell lengths 8.2625, 8.2795, 9.4436 Å; angles 106.58, 107.27, 103.21 degrees
Space group P-1 (No. 2)
Symmetry-distinct sites (fractional):
1 Li 0.0604 0.3065 0.1038 [2 per cell]
2 Li 0.2170 0.7532 0.7188 [2 per cell]
3 Li 0.4311 0.1923 0.8944 [2 per cell]
4 Fe 0.0570 0.3054 0.6710 [2 per cell]
5 Fe 0.4344 0.1919 0.3338 [2 per cell]
6 P 0.1928 0.4524 0.4239 [2 per cell]
7 P 0.2998 0.0503 0.5795 [2 per cell]
8 C 0.2528 0.5052 0.9591 [2 per cell]
9 C 0.2565 0.9937 0.0398 [2 per cell]
10 O 0.0577 0.3301 0.4684 [2 per cell]
11 O 0.0801 0.5182 0.3031 [2 per cell]
12 O 0.1204 0.3637 0.9296 [2 per cell]
13 O 0.1478 0.9052 0.4255 [2 per cell]
14 O 0.1613 0.8752 0.9001 [2 per cell]
15 O 0.2223 0.9788 0.1627 [2 per cell]
16 O 0.2314 0.1719 0.6890 [2 per cell]
17 O 0.2682 0.5300 0.8315 [2 per cell]
18 O 0.2762 0.3416 0.3237 [2 per cell]
19 O 0.3317 0.6085 0.5799 [2 per cell]
20 O 0.3647 0.6155 0.0953 [2 per cell]
21 O 0.3923 0.1363 0.0743 [2 per cell]
22 O 0.4003 0.9677 0.6924 [2 per cell]
23 O 0.4289 0.1640 0.5274 [2 per cell]

=====

4.
Li7Mn5O12: theoretical powder XRD pattern (Cu Kα), based on a cell relaxed with PBE+U.

Most intense lines, 2θ = 10–80°, in order of rising 2θ:
h k l	d [Å]	Position (°2θ)	I (rel.)
1 0 0	4.838	18.34	100
0 2 -2	2.611	34.34	16
1 2 -2	2.178	41.45	35
-2 2 1	2.058	44.00	29
1 0 3	2.051	44.16	28
3 0 -3	1.490	62.33	16

Structure:
Cell lengths 5.0943, 6.0187, 7.7984 Å; angles 103.67, 97.03, 104.53 degrees
Space group P-1 (No. 2)
Symmetry-distinct sites (fractional):
1 Li 0.0000 0.0000 0.0000 [1 per cell]
2 Li 0.4864 0.9159 0.1597 [2 per cell]
3 Li 0.4902 0.2453 0.4994 [2 per cell]
4 Li 0.4971 0.5845 0.8374 [2 per cell]
5 Mn 0.0000 0.5000 0.0000 [1 per cell]
6 Mn 0.0017 0.3323 0.3294 [2 per cell]
7 Mn 0.0056 0.8415 0.3286 [2 per cell]